### Given
/*
Entry from the OMol25 dataset: a molecular structure, C43H53AlN6O3P2S2Si2 in a non-equilibrium geometry (ωB97M-V with the def2-TZVPD basis set).

XYZ file:
```
112
Properties=species:S:1:pos:R:3:forces:R:3:lowdin_charge:R:1
Al -0.1345 0.2114 -0.4507 0.479 0.012 -0.195 -0.10
C 1.3604 4.0418 -1.6940 1.446 -0.558 0.228 -0.17
Si -0.2847 3.5964 -0.9767 0.200 -0.907 0.517 0.34
C -0.8662 5.1948 -0.2296 0.438 0.573 0.314 -0.18
C -1.4356 3.1417 -2.3618 0.690 -0.489 -1.605 -0.16
N -0.1058 2.1827 0.0688 -0.678 0.674 -0.924 -0.19
P -0.5517 1.7594 1.5819 0.398 -0.155 0.243 0.73
C -0.5061 0.0889 1.5976 0.138 -0.551 -0.098 -0.39
P 0.9676 -0.7305 1.6372 0.251 0.500 0.160 0.69
N 1.6733 -0.4811 0.1997 -0.116 -0.017 -0.550 -0.20
Si 3.3049 -0.6485 -0.4327 -0.966 -0.016 -0.049 0.39
C 4.6248 -1.2069 0.7409 0.337 0.201 0.187 -0.16
C 3.2916 -1.9255 -1.8018 -1.287 0.787 0.093 -0.14
C 3.8726 1.0332 -1.0723 -0.237 -0.181 -0.340 -0.15
C 2.1433 -0.1409 2.8447 1.370 0.159 0.550 -0.27
C 2.8927 0.9713 2.4339 -0.723 0.518 -0.836 -0.13
C 3.8091 1.5500 3.2868 -0.319 -0.355 -0.115 -0.08
C 4.0591 0.9915 4.5064 -0.246 -0.442 0.767 -0.09
C 3.4183 -0.1648 4.8947 -0.260 -0.186 1.101 -0.09
C 2.4663 -0.7199 4.0878 -0.808 -0.106 -1.405 -0.07
C 0.6609 -2.4486 1.9494 -0.124 -0.800 0.296 -0.29
C -0.6610 -2.8737 2.1123 0.615 0.115 0.102 -0.07
C -0.9023 -4.2510 2.2026 -0.624 0.447 -0.488 -0.09
C 0.1219 -5.1637 2.0909 -0.156 -0.463 0.043 -0.10
C 1.4250 -4.7307 1.9546 0.598 -0.028 -0.126 -0.09
C 1.7054 -3.3801 1.8982 0.405 0.331 0.105 -0.08
C -2.2408 2.1858 2.1485 -0.842 0.079 0.385 -0.27
C -3.0843 1.1690 2.6655 -0.513 1.187 -0.343 -0.09
C -4.3589 1.4821 3.1688 1.345 0.968 -0.682 -0.07
C -4.7245 2.8184 3.2727 -1.166 -0.698 -0.113 -0.10
C -3.9251 3.8150 2.7787 0.983 0.359 0.383 -0.09
C -2.6861 3.5127 2.2190 0.108 -0.303 0.255 -0.08
C 0.4034 2.7691 2.7747 -1.374 -1.650 0.792 -0.28
C 0.9880 3.9263 2.3837 0.937 1.172 -0.386 -0.12
C 1.5090 4.7941 3.3422 0.572 0.363 0.086 -0.07
C 1.4396 4.4789 4.6969 0.656 0.764 0.020 -0.08
C 0.9208 3.2504 5.0716 -0.152 -0.334 0.970 -0.09
C 0.3639 2.4067 4.1481 0.494 0.464 -1.323 -0.06
H 1.7245 3.4468 -2.5428 -0.322 0.413 -0.037 0.01
H 2.1624 3.8649 -0.9544 -0.336 0.071 0.055 0.04
H 1.4204 5.1012 -1.9125 -0.077 0.202 -0.390 0.03
H -0.7290 5.9817 -0.9912 0.034 -0.223 0.275 0.05
H -0.3967 5.5198 0.7172 -0.085 -0.122 -0.574 0.03
H -1.9132 5.1308 -0.0438 -1.000 0.060 0.154 0.00
H -1.3222 3.7974 -3.2737 -0.121 -0.513 0.938 0.06
H -2.4747 3.0959 -2.0968 -0.591 0.152 0.234 0.00
H -1.1817 2.0977 -2.6840 -0.186 0.834 0.154 0.02
H 4.6359 -2.2746 0.9089 -0.030 -0.381 -0.076 0.02
H 4.5383 -0.7309 1.7088 0.254 0.138 0.215 0.01
H 5.5875 -0.9305 0.2802 -0.196 -0.071 0.208 0.05
H 2.5549 -2.7051 -1.5195 0.614 0.123 -0.219 0.04
H 4.2692 -2.2986 -2.0262 0.533 -0.466 -0.092 0.03
H 2.9063 -1.4077 -2.6881 0.145 -0.301 -0.055 0.01
H 4.1255 1.7429 -0.2862 -0.082 0.046 0.073 0.03
H 3.1731 1.4966 -1.7734 -0.163 0.029 0.262 0.00
H 4.7644 0.8790 -1.6645 0.523 -0.096 -0.130 0.03
H 2.7146 1.4288 1.4220 0.079 -0.551 1.232 0.11
H 4.3091 2.4446 3.0545 0.531 1.027 -0.604 0.10
H 4.6780 1.4654 5.2238 0.785 0.480 0.358 0.10
H 3.5339 -0.5900 5.8985 0.342 0.176 -0.441 0.11
H 1.9792 -1.6295 4.3810 -0.334 -0.280 0.160 0.10
H -1.3860 -2.0415 2.1265 -0.013 -0.955 -0.007 0.09
H -1.9057 -4.6496 2.1643 -0.218 0.229 0.330 0.10
H -0.1062 -6.2357 2.0611 0.096 0.464 0.060 0.11
H 2.2168 -5.4546 1.8098 0.072 0.020 0.159 0.11
H 2.7517 -3.0325 1.8257 -0.658 -0.223 -0.135 0.10
H -2.7436 0.1644 2.6212 0.316 -0.719 -0.048 0.07
H -5.0805 0.7564 3.4383 -0.253 -0.897 0.444 0.09
H -5.7096 3.0411 3.6907 0.355 0.126 -0.031 0.11
H -4.1706 4.8355 3.0074 -0.202 0.387 -0.352 0.10
H -2.0196 4.3182 1.9308 -0.110 -0.066 -0.045 0.08
H 1.1320 4.1913 1.3280 -0.212 -0.326 0.528 0.08
H 2.0562 5.6656 2.9631 -0.375 -0.107 0.476 0.11
H 1.8484 5.1478 5.4816 -0.234 -0.425 -0.760 0.11
H 0.9646 2.9187 6.1153 -0.066 0.299 -0.334 0.11
H 0.0166 1.4401 4.4474 -0.402 -0.388 0.028 0.11
*/

### Wanted
What is needed: find the line further above that holds "-1.9125 -0.077", then repeat that line and all lines after it there.

### Result
H 1.4204 5.1012 -1.9125 -0.077 0.202 -0.390 0.03
H -0.7290 5.9817 -0.9912 0.034 -0.223 0.275 0.05
H -0.3967 5.5198 0.7172 -0.085 -0.122 -0.574 0.03
H -1.9132 5.1308 -0.0438 -1.000 0.060 0.154 0.00
H -1.3222 3.7974 -3.2737 -0.121 -0.513 0.938 0.06
H -2.4747 3.0959 -2.0968 -0.591 0.152 0.234 0.00
H -1.1817 2.0977 -2.6840 -0.186 0.834 0.154 0.02
H 4.6359 -2.2746 0.9089 -0.030 -0.381 -0.076 0.02
H 4.5383 -0.7309 1.7088 0.254 0.138 0.215 0.01
H 5.5875 -0.9305 0.2802 -0.196 -0.071 0.208 0.05
H 2.5549 -2.7051 -1.5195 0.614 0.123 -0.219 0.04
H 4.2692 -2.2986 -2.0262 0.533 -0.466 -0.092 0.03
H 2.9063 -1.4077 -2.6881 0.145 -0.301 -0.055 0.01
H 4.1255 1.7429 -0.2862 -0.082 0.046 0.073 0.03
H 3.1731 1.4966 -1.7734 -0.163 0.029 0.262 0.00
H 4.7644 0.8790 -1.6645 0.523 -0.096 -0.130 0.03
H 2.7146 1.4288 1.4220 0.079 -0.551 1.232 0.11
H 4.3091 2.4446 3.0545 0.531 1.027 -0.604 0.10
H 4.6780 1.4654 5.2238 0.785 0.480 0.358 0.10
H 3.5339 -0.5900 5.8985 0.342 0.176 -0.441 0.11
H 1.9792 -1.6295 4.3810 -0.334 -0.280 0.160 0.10
H -1.3860 -2.0415 2.1265 -0.013 -0.955 -0.007 0.09
H -1.9057 -4.6496 2.1643 -0.218 0.229 0.330 0.10
H -0.1062 -6.2357 2.0611 0.096 0.464 0.060 0.11
H 2.2168 -5.4546 1.8098 0.072 0.020 0.159 0.11
H 2.7517 -3.0325 1.8257 -0.658 -0.223 -0.135 0.10
H -2.7436 0.1644 2.6212 0.316 -0.719 -0.048 0.07
H -5.0805 0.7564 3.4383 -0.253 -0.897 0.444 0.09
H -5.7096 3.0411 3.6907 0.355 0.126 -0.031 0.11
H -4.1706 4.8355 3.0074 -0.202 0.387 -0.352 0.10
H -2.0196 4.3182 1.9308 -0.110 -0.066 -0.045 0.08
H 1.1320 4.1913 1.3280 -0.212 -0.326 0.528 0.08
H 2.0562 5.6656 2.9631 -0.375 -0.107 0.476 0.11
H 1.8484 5.1478 5.4816 -0.234 -0.425 -0.760 0.11
H 0.9646 2.9187 6.1153 -0.066 0.299 -0.334 0.11
H 0.0166 1.4401 4.4474 -0.402 -0.388 0.028 0.11